Archive for Featherweight Publishing
New Cover…

Crystal structures, as found in the file:
┌──
A relaxed MnH2O2 crystal. Source: Materials Project, functional PBE with a Hubbard U.

Structure (POSCAR):
```
MnH2O2
1.0
3.344 -0.052 4.822
-3.354 5.841 -0.013
-5.071 -2.900 0.054
O Mn H
8 4 8
Cartesian
-4.889 -1.170 1.014
-6.565 1.751 1.011
1.813 0.685 3.641
-1.515 -1.181 0.992
-1.564 0.696 3.661
-3.191 1.740 0.985
0.136 3.605 3.632
-3.242 3.615 3.656
-3.243 -0.259 4.762
0.132 -0.272 4.738
-1.545 2.648 4.732
-4.920 2.660 4.756
-3.224 3.640 2.683
-1.478 4.670 1.931
-1.547 0.719 2.687
0.199 1.749 1.935
-1.493 -1.171 1.966
-4.924 0.739 2.713
-3.170 1.753 1.960
-3.248 -2.179 2.722
```

Computed properties:
As for the formation energy: -7.791 eV/f.u. Its MP2020-corrected energy is -6.73 eV/atom.


(1)
Density functional theory data (PBE) for a geometry-optimized Li2SmIn structure.

Results
For the formation energy, the calculation gives -0.3081 eV/atom. The calculation puts the volume at 84 Å³/f.u.

Unit cell a=6.9620 b=6.9620 c=6.9620 alpha=90.00 beta=90.00 gamma=90.00
Closest atoms and distances in Å follow each position.
Space group Fm-3m (No. 225)
One atom of each set of equivalent atoms:
Li  0.2500  0.2500  0.2500 (multiplicity 8)  4 In 3.01, 4 Sm 3.01
Sm  0.0000  0.0000  0.0000 (multiplicity 4)  8 Li 3.01
In  0.0000  0.0000  0.5000 (multiplicity 4)  8 Li 3.01

***

(2)
Density functional theory data (PBE) for a geometry-optimized LiTbIn2 structure.

Results
For the formation energy, the calculation gives -0.3804 eV/atom. The calculation puts the volume at 97 Å³/f.u.

Unit cell a=7.2963 b=7.2963 c=7.2963 alpha=90.00 beta=90.00 gamma=90.00
Closest atoms and distances in Å follow each position.
Space group Fm-3m (No. 225)
One atom of each set of equivalent atoms:
Li  0.0000  0.0000  0.0000 (multiplicity 4)  8 In 3.16
Tb  0.0000  0.0000  0.5000 (multiplicity 4)  8 In 3.16
In  0.2500  0.2500  0.2500 (multiplicity 8)  4 Tb 3.16, 4 Li 3.16

***

(3)
Density functional theory data (PBE) for a geometry-optimized LiTmIn2 structure.

Results
For the formation energy, the calculation gives -0.3586 eV/atom. The calculation puts the volume at 94 Å³/f.u.

Unit cell a=7.2192 b=7.2192 c=7.2192 alpha=90.00 beta=90.00 gamma=90.00
Closest atoms and distances in Å follow each position.
Space group Fm-3m (No. 225)
One atom of each set of equivalent atoms:
Li  0.0000  0.0000  0.0000 (multiplicity 4)  8 In 3.13
Tm  0.0000  0.0000  0.5000 (multiplicity 4)  8 In 3.13
In  0.2500  0.2500  0.2500 (multiplicity 8)  4 Li 3.13, 4 Tm 3.13

***

(4)
Density functional theory data (PBE) for a geometry-optimized LiTm2In structure.

Results
For the formation energy, the calculation gives -0.2419 eV/atom. The calculation puts the volume at 100 Å³/f.u.

Unit cell a=7.3627 b=7.3627 c=7.3627 alpha=90.00 beta=90.00 gamma=90.00
Closest atoms and distances in Å follow each position.
Space group Fm-3m (No. 225)
One atom of each set of equivalent atoms:
Li  0.0000  0.0000  0.0000 (multiplicity 4)  8 Tm 3.19
Tm  0.2500  0.2500  0.2500 (multiplicity 8)  4 In 3.19, 4 Li 3.19
└──
The crystal structures stop here:

Here’s the cover for the second book in The Beasor Chronicles, Tramps. I really like these covers and can’t wait to see the last one. 🙂 Tramps comes out in September. But it’ll be up for pre-order soon…and I’ll let everyone know.

[1]
## Li2V2P3O12 (GGA+U)

Data for crystalline Li2V2P3O12 at its relaxed geometry.

abc: 8.7088 8.6010 12.0731
angles: 89.99 90.00 90.00
Closest atoms and distances in Å follow each position.
Sites, in units of the cell vectors:
1 V 0.0350 0.2538 0.1129  6 O 1.90-2.03
2 V 0.9640 0.2462 0.6129  6 O 1.89-2.02
3 V 0.9650 0.7462 0.8871  6 O 1.90-2.03
4 V 0.0360 0.7538 0.3871  6 O 1.89-2.02
5 V 0.4640 0.2538 0.8871  6 O 1.89-2.02
6 V 0.4650 0.7538 0.6129  6 O 1.90-2.03
7 V 0.5350 0.2462 0.3871  6 O 1.90-2.03
8 V 0.5360 0.7462 0.1129  6 O 1.89-2.02
9 O 0.3342 0.6491 0.0806  1 P 1.55
10 O 0.9883 0.6794 0.7277  1 P 1.56
11 O 0.8374 0.3604 0.0836  1 P 1.55
12 O 0.9863 0.1694 0.7694  1 P 1.56
13 O 0.4459 0.6618 0.4693  1 P 1.54
14 O 0.1658 0.1491 0.5806  1 P 1.55
15 O 0.5117 0.1794 0.2277  1 P 1.56
16 O 0.3589 0.9378 0.5714  1 P 1.54
17 O 0.4863 0.3306 0.7306  1 P 1.56
18 O 0.9415 0.3444 0.4717  1 P 1.54
19 O 0.1411 0.4378 0.0714  1 P 1.54
20 O 0.4008 0.9261 0.1574  1 P 1.55
21 O 0.0541 0.1618 0.9693  1 P 1.54
22 O 0.4883 0.8206 0.7723  1 P 1.56
23 O 0.8640 0.0621 0.5659  1 P 1.54
24 O 0.6065 0.5745 0.6517  1 P 1.55
25 O 0.5992 0.0739 0.8426  1 P 1.55
26 O 0.1065 0.9255 0.8483  1 P 1.55
27 O 0.0992 0.4261 0.6574  1 P 1.55
28 O 0.0117 0.3206 0.2723  1 P 1.56
29 O 0.0585 0.6556 0.5283  1 P 1.54
30 O 0.7676 0.3344 0.6751  1 P 1.55
31 O 0.6411 0.0622 0.4286  1 P 1.54
32 O 0.8589 0.5622 0.9286  1 P 1.54
33 O 0.2702 0.6592 0.6740  1 P 1.55
34 O 0.2324 0.6656 0.3249  1 P 1.55
35 O 0.9459 0.8382 0.0307  1 P 1.54
36 O 0.7298 0.3408 0.3260  1 P 1.55
37 O 0.9008 0.5739 0.3426  1 P 1.55
38 O 0.6626 0.8604 0.5836  1 P 1.55
39 O 0.7702 0.8408 0.8260  1 P 1.55
40 O 0.4415 0.1556 0.0283  1 P 1.54
41 O 0.7324 0.8344 0.1751  1 P 1.55
42 O 0.3374 0.1396 0.4164  1 P 1.55
43 O 0.5585 0.8444 0.9717  1 P 1.54
44 O 0.5541 0.3382 0.5307  1 P 1.54
45 O 0.8342 0.8509 0.4194  1 P 1.55
46 O 0.6360 0.5621 0.0659  1 P 1.54
47 O 0.5137 0.6694 0.2694  1 P 1.56
48 O 0.2676 0.1656 0.8249  1 P 1.55
49 O 0.1626 0.6396 0.9164  1 P 1.55
50 O 0.2298 0.1592 0.1740  1 P 1.55
51 O 0.6658 0.3509 0.9194  1 P 1.55
52 O 0.0137 0.8306 0.2306  1 P 1.56
53 O 0.3935 0.4255 0.3483  1 P 1.55
54 O 0.8935 0.0745 0.1517  1 P 1.55
55 O 0.3640 0.4379 0.9341  1 P 1.54
56 O 0.1360 0.9379 0.4341  1 P 1.54
57 P 0.6052 0.8947 0.8544  4 O 1.54-1.56
58 P 0.8948 0.3947 0.3544  4 O 1.54-1.56
59 P 0.8948 0.8946 0.1458  4 O 1.54-1.56
60 P 0.3948 0.1053 0.1456  4 O 1.54-1.56
61 P 0.1052 0.1054 0.8542  4 O 1.54-1.56
62 P 0.7498 0.4627 0.9992  4 O 1.54-1.55
63 P 0.2498 0.0373 0.5008  4 O 1.54-1.55
64 P 0.3948 0.6054 0.3542  4 O 1.54-1.56
65 P 0.7502 0.9627 0.4992  4 O 1.54-1.55
66 P 0.2502 0.5373 0.0008  4 O 1.54-1.55
67 P 0.1052 0.6053 0.6456  4 O 1.54-1.56
68 P 0.6052 0.3946 0.6458  4 O 1.54-1.56
69 Li 0.2772 0.2873 0.6841  4 O 1.94-2.00
70 Li 0.2228 0.7873 0.1841  4 O 1.94-2.00
71 Li 0.2779 0.7797 0.8160  4 O 1.94-2.00
72 Li 0.7772 0.2127 0.8159  4 O 1.94-2.00
73 Li 0.2221 0.2797 0.3160  4 O 1.94-2.00

Also, my newest young adult short story, Pursuing Hope, is available now at Featherweight Press. It’s a f/f story about a girl looking for a date to her prom. There’s no angst or anything like that. Since it’s my first f/f story, I thought I’d keep it simple…lol.
Here’s the link to it…check it out if you’d like.
I hope everyone is having a great day…and have a marvelous weekend.
Wow….April is just around the corner. Where did the first three months of this year go? I can’t believe it.
I’ll be doing edits on my Young Adult f/f short story releasing in May from Featherweight Press. Woot! I can’t wait for people to read it. Pursing Hope is a cute story, not much angst at all. 😀
I’ve lost 10 lbs so far since starting my diet/exercise plan in February. Yay! It’s been fun actually. I try to work out every day, and my diet isn’t that hard to follow. Mostly just eating better, and not as much junk. Lots of ice water and no sugar. We’ll see how well I do when I head to Chicago for the Romantic Times convention in a week or so. lol
Well, I hope you have a great Friday and a wonderful weekend.
Monday is here…

So a new week is here, and I’m trying decide if I want to sit at my desk and write, or curl up in my recliner in the living room with my laptop. Guess it really doesn’t long as I write. 😀
It looks like my two YA stories will be out in May and June. Yay! Pursing Hope, my first f/f YA, will be coming out in May, and The Deepest Cut will be out in June. When I get exact dates, I’ll let everyone know, and also the dates are always subject to change…lol. Â I’m at 41k for DC, and it’ll be over 60k when I finish, which is nice. I think it needs to be that long to tell Charlie’s story. He’s got some issues, but he makes it through and gets a boyfriend in the end.
The adult story I’m working on, From Slavery to Freedom, is the sequel to Out of Light into Darkness, and is about Malachai, Andor’s demon bodyguard. I hope you all like it. It’s a little hard in the beginning because Doll, Malachai’s love interest, is in a very bad place. But Malachai, Andor and Sven help save him. I’ll let you know more about it when I get closer to being done with it.
Well, I better get to writing. I hope you have a great day.
Holy February…

I can’t believe January is already gone. Seems like I was just figuring out my New Year’s resolutions. (which I didn’t actually make because I never keep
But looking back over the last month, it was a good one. I finished two stories. To be honest, one doesn’t really count because I wrote most of it the last week of December, and subbed it on the second of January. Pursuing Hope was my first try at a f/f story, and it’s a Young Adult one as well. I sent it off to my editor at Featherweight Publishing, and yesterday, they let me know they wanted it. Yay! It’s not very angsty or anything like that. It’s about a girl looking for a date to prom. She just happens to be a lesbian.
I sent my edits in for Famine, so it’ll be out on the 20th of this month. Also, Bring Him Gold will be out on the 12th. I have two print books coming out this month as well. War and The Longest Stride will be available at some point this month. Woot!
Gypsies went off to my editor at Total e-Bound, and I started working on a short story for them as well. I’ll still be working on it because it’s like halfway done, but I need to start From Slavery to Freedom, the sequel to Out of Light into Darkness today. So for a little while, I’ll be working on three books, until I get the really short story done. 😀
Well, at the end of this month, I’ll also have some big news. Nothing bad, so don’t worry about that. Just a few changes happening. All of it will be good (at least I hope you’ll think so.)
Have a great day, everyone.
Coming Soon….

(Between two parts of the text: data records)
____________
[1]
Crystalline LiFeSiO4 at its relaxed geometry. Source: the Materials Project database, functional GGA+U.

Energy of formation ... -2.486 eV per atom
MP2020-corrected energy ... -7.571 eV/atom

a b c (Å): 5.536 5.536 22.961
angles (deg): 90.00 90.00 60.00
Atoms (fractional coordinates):
Li  0.000  0.000  0.000
Li  0.000  0.000  0.500
Li  0.000  0.000  0.167
Li  0.000  0.000  0.667
Li  0.000  0.000  0.333
Li  0.000  0.000  0.833
Fe  0.500  0.500  0.667
Fe  0.000  0.500  0.333
Fe  0.500  0.000  0.000
Fe  0.500  0.500  0.167
Fe  0.000  0.500  0.833
Fe  0.500  0.000  0.500
Si  0.500  0.500  0.417
Si  0.500  0.500  0.917
Si  0.000  0.500  0.083
Si  0.000  0.500  0.583
Si  0.500  0.000  0.250
Si  0.500  0.000  0.750
O  0.396  0.827  0.209
O  0.396  0.827  0.709
O  0.396  0.777  0.458
O  0.396  0.777  0.958
O  0.827  0.396  0.125
O  0.827  0.396  0.625
O  0.777  0.396  0.375
O  0.777  0.396  0.875
O  0.827  0.777  0.042
O  0.827  0.777  0.542
O  0.777  0.827  0.291
O  0.777  0.827  0.791
O  0.223  0.173  0.291
O  0.223  0.173  0.791
O  0.173  0.223  0.042
O  0.173  0.223  0.542
O  0.223  0.604  0.375
O  0.223  0.604  0.875
O  0.173  0.604  0.125
O  0.173  0.604  0.625
O  0.604  0.223  0.458
O  0.604  0.223  0.958
O  0.604  0.173  0.209
O  0.604  0.173  0.709

[2]
Crystalline LiFeSiO4 at its relaxed geometry. Source: the Materials Project database, functional GGA+U.

Energy of formation ... -2.499 eV per atom
MP2020-corrected energy ... -7.584 eV/atom

a b c (Å): 5.486 8.265 18.762
angles (deg): 90.00 90.00 90.00
Atoms (fractional coordinates):
Li  0.483  0.173  0.417
Li  0.017  0.673  0.417
Li  0.500  0.830  0.250
Li  0.000  0.330  0.250
Li  0.517  0.173  0.083
Li  0.983  0.673  0.083
Li  0.483  0.827  0.917
Li  0.017  0.327  0.917
Li  0.500  0.170  0.750
Li  0.000  0.670  0.750
Li  0.517  0.827  0.583
Li  0.983  0.327  0.583
Fe  0.500  0.500  0.500
Fe  0.000  0.000  0.500
Fe  0.993  0.001  0.333
Fe  0.507  0.501  0.333
Fe  0.007  0.001  0.167
Fe  0.493  0.501  0.167
Fe  0.500  0.500  0.000
Fe  0.000  0.000  0.000
Fe  0.993  0.999  0.833
Fe  0.507  0.499  0.833
Fe  0.007  0.999  0.667
Fe  0.493  0.499  0.667
Si  0.500  0.847  0.417
Si  0.000  0.347  0.417
Si  0.500  0.154  0.250
Si  0.000  0.654  0.250
Si  0.500  0.847  0.083
Si  0.000  0.347  0.083
Si  0.500  0.153  0.917
Si  0.000  0.653  0.917
Si  0.500  0.846  0.750
Si  0.000  0.346  0.750
Si  0.500  0.153  0.583
Si  0.000  0.653  0.583
O  0.001  0.764  0.511
O  0.501  0.736  0.489
O  0.999  0.236  0.489
O  0.756  0.474  0.417
O  0.238  0.472  0.417
O  0.262  0.972  0.417
O  0.744  0.974  0.417
O  0.493  0.735  0.346
O  0.007  0.235  0.346
O  0.492  0.265  0.322
O  0.008  0.765  0.322
O  0.233  0.528  0.250
O  0.767  0.528  0.250
O  0.733  0.028  0.250
O  0.267  0.028  0.250
O  0.508  0.265  0.178
O  0.992  0.765  0.178
O  0.507  0.735  0.154
O  0.993  0.235  0.154
O  0.244  0.474  0.083
O  0.762  0.472  0.083
O  0.738  0.972  0.083
O  0.256  0.974  0.083
O  0.499  0.736  0.011
____________

for those of you who don’t know….I signed a contract with Featherweight Publishing to release my first Young Adult book titled I Call Death Dad. I’m excited about it since it’s a new venture for me…and I’ve always wanted to write a YA. Featherweight Publishing is the Young Adult/Children imprint of MLR Press, so I’ll be working with Laura Baumbach and all her wonderful people.
I don’t have any other information to share with you at the moment, but of course, you all know that as soon as I do, you’ll be the first to know…lol 🙂 Even though I’m leaving for vacation tonight, I’ll be working on my writing. In between having lots of fun.
I’m going to update the links on my sidebar for the last couple of installments of Wolf’s Survival, then those will stay up until I get home in a week and a half. After that, I’ll be taking them down. I plan on subbing WS as soon as I get home as well. Yay!
I’ve sent up some really yummy eye candy for you all to visit next week. Please remember to stop by.
I hope you all have a great weekend and a wonderful week and a half. I’ll see you all when I get back.